Re: CAF 6
in reply to a message by arieleden
DH [76] Brian John Hexwood
DW [72] Carlie Montana {Turpin} Hexwood
DD [47] Madison Zoe {Hexwood} Blewett
DS [45] Christopher Wyatt Hexwood
DD [41] Grace Ashley {Hexwood} Stoneback
DS [38] Donovan Edward Hexwood
DD [47] Madison Zoe {Hexwood} Blewett
DH [55] Cameron Thomas Blewett
DD [24] Kayley Annette Blewett
Molecular data from another source follow:
~~~
Record 1
Here is an isolated ion of composition C7H14N3 and charge +1 at a distorted geometry from the Open Molecules 2025 dataset. Energies are from ωB97M-V with the def2-TZVPD basis set.

CARTESIAN COORDINATES (ANGSTROEM)
C: 2.975 0.907 -0.221
C: 3.266 -0.251 0.398
C: 0.314 0.304 0.014
C: 3.619 -0.912 1.611
C: -1.649 -0.742 0.925
C: -1.514 -0.041 -1.412
C: -1.626 1.559 0.466
N: 2.126 1.483 -0.973
N: 0.834 1.182 -0.814
N: -1.098 0.275 -0.026
H: 3.957 1.442 -0.335
H: 4.110 -1.867 1.415
H: 4.328 -0.464 2.326
H: 2.685 -0.932 2.075
H: -1.167 -1.688 0.574
H: -1.395 -0.662 2.059
H: -2.720 -0.893 0.768
H: -2.380 -0.576 -1.477
H: -1.574 0.843 -2.005
H: -0.801 -0.704 -1.809
H: -1.378 1.672 1.527
H: -1.088 2.292 -0.116
H: -2.734 1.606 0.422
H: 0.378 1.933 -1.408

Its multiplicity is 1. As for the net charge: +1. The calculation puts the largest force on an atom at 3.74 eV Å⁻¹. Its energy above the lowest of the compared OMol25 structures with the same formula, charge and spin is 8.922 eV. For the energy, the calculation gives -11941.998 eV.

Record 2
Here is an isolated ion of composition C7H14N3 and charge +1 at a distorted geometry from the Open Molecules 2025 dataset. Energies are from ωB97M-V with the def2-TZVPD basis set.

CARTESIAN COORDINATES (ANGSTROEM)
C: -1.074 -0.082 2.159
C: -1.441 -0.773 0.779
C: -0.376 -0.635 -0.246
C: -0.249 0.707 -0.920
C: -1.586 1.129 -1.414
C: 0.106 -1.886 -0.934
N: 0.894 -1.279 0.093
N: 1.932 -0.579 -0.002
C: 2.464 0.500 -0.071
N: 3.384 1.237 0.372
H: -1.210 0.926 2.086
H: -0.091 -0.350 2.178
H: -1.691 -0.416 2.899
H: -2.271 -0.492 0.191
H: -1.481 -1.835 0.850
H: 0.291 1.434 -0.237
H: 0.343 0.607 -1.802
H: -2.147 1.567 -0.720
H: -2.037 0.239 -1.831
H: -1.515 1.904 -2.194
H: -0.346 -2.909 -0.614
H: 0.652 -2.029 -1.891
H: 3.664 1.066 1.420
H: 3.785 1.948 -0.153

Its multiplicity is 1. As for the net charge: +1. The calculation puts the largest force on an atom at 4.79 eV Å⁻¹. Its energy above the lowest of the compared OMol25 structures with the same formula, charge and spin is 6.056 eV. As for the structure (SMILES): CCC1(CC)CN1N=C=[NH2+]. For the energy, the calculation gives -11944.864 eV.

Record 3
Here is C7H14N3NiO as an isolated structure at a distorted geometry from the Open Molecules 2025 dataset. Energies are from ωB97M-V with the def2-TZVPD basis set.

CARTESIAN COORDINATES (ANGSTROEM)
C: 2.235 -4.178 0.643
Ni: 0.229 -1.841 -0.074
N: -0.253 -2.303 -1.864
H: 0.253 -2.167 1.394
H: 2.833 -3.513 1.287
H: 2.823 -5.138 0.764
H: 2.211 -3.818 -0.438
H: 1.153 -4.051 1.090
H: 0.106 -1.571 -2.488
H: -1.266 -2.221 -1.831
H: -0.023 -3.205 -2.271
N: -0.491 4.809 0.124
C: -1.447 3.795 0.438
O: -2.614 4.085 0.700
C: -0.935 2.393 0.340
C: 0.372 2.134 -0.130
C: 0.728 0.816 -0.258
N: -0.189 -0.164 0.009
C: -1.448 0.089 0.499
C: -1.854 1.380 0.680
H: -0.812 5.773 0.312
H: 0.515 4.623 0.299
H: 1.107 2.902 -0.400
H: 1.707 0.527 -0.603
H: -2.085 -0.756 0.713
H: -2.853 1.599 1.066
~~~
— Df [26] David Spencer Miller
— DD [exp] Shana Mercedes Miller
DS [21] Jordan Lane Blewett
DS [19] Ashton Jude Blewett
DD [16] Celina Hope Blewett
DS [15] Gavin Peter Blewett
DS [45] Christopher Wyatt Hexwood
DW [42] Alexis Amber {Chase} Hexwood
DS [20] Ethan Michael Hexwood
DD [17] Hannah Taylor Hexwood
DD [15] Sydney Selena Hexwood
DD [41] Grace Ashley {Hexwood} Stoneback
DH [50] Leland Tyler Stoneback
DD [24] Jessica Chanelle {Stoneback} Arington
— DH [29] Jason Trevor Arington
— DS [2] Cai Alan Arington
— DS [nb] Cody Leo Arington
DD [15] Katelyn Emily Stoneback
DS [13] Thomas Floyd Stoneback
DS [38] Donovan Edward Hexwood
DW [34] Amanda Breana {Storey} Hexwood
DS [10] Michael Matthew Hexwood
DS [10] Marcus Dylan Hexwood
DS [9] Pierce Ronald Hexwood
DS [8] Bradley Nicholas Hexwood
DS [7] Blake Landon Hexwood
DD [6] Brooklynn Dianna Hexwood
DS [4] Elijah Chase Hexwood
DS [4] Joshua Joseph Hexwood
I would rather have a few small speed bumps slow me down,
causing me to spill my coffee on my dress,
than ever hand someone else the keys to my life.
Track Sixteen
Stuff I've Been Feeling Lately
Alicia Cook
DW [72] Carlie Montana {Turpin} Hexwood
DD [47] Madison Zoe {Hexwood} Blewett
DS [45] Christopher Wyatt Hexwood
DD [41] Grace Ashley {Hexwood} Stoneback
DS [38] Donovan Edward Hexwood
DD [47] Madison Zoe {Hexwood} Blewett
DH [55] Cameron Thomas Blewett
DD [24] Kayley Annette Blewett
— Df [26] David Spencer Miller
— DD [exp] Shana Mercedes Miller
DS [21] Jordan Lane Blewett
DS [19] Ashton Jude Blewett
DD [16] Celina Hope Blewett
DS [15] Gavin Peter Blewett
DS [45] Christopher Wyatt Hexwood
DW [42] Alexis Amber {Chase} Hexwood
DS [20] Ethan Michael Hexwood
DD [17] Hannah Taylor Hexwood
DD [15] Sydney Selena Hexwood
DD [41] Grace Ashley {Hexwood} Stoneback
DH [50] Leland Tyler Stoneback
DD [24] Jessica Chanelle {Stoneback} Arington
— DH [29] Jason Trevor Arington
— DS [2] Cai Alan Arington
— DS [nb] Cody Leo Arington
DD [15] Katelyn Emily Stoneback
DS [13] Thomas Floyd Stoneback
DS [38] Donovan Edward Hexwood
DW [34] Amanda Breana {Storey} Hexwood
DS [10] Michael Matthew Hexwood
DS [10] Marcus Dylan Hexwood
DS [9] Pierce Ronald Hexwood
DS [8] Bradley Nicholas Hexwood
DS [7] Blake Landon Hexwood
DD [6] Brooklynn Dianna Hexwood
DS [4] Elijah Chase Hexwood
DS [4] Joshua Joseph Hexwood
causing me to spill my coffee on my dress,
than ever hand someone else the keys to my life.
Track Sixteen
Stuff I've Been Feeling Lately
Alicia Cook